
Exhibitions in France and the U.S.

AFMO supports the museums’ ongoing commitment to share works of art and collaborate with American museums, enriching exhibitions viewed in the United States and in Paris.

Pm4ZnSe2Cl after structural relaxation, computed with PBE.

Computed properties:
Magnetization, μB per cell: 0.00
ΔE_f (raw), meV per atom: -1345

```
Pm4ZnSe2Cl
1.0
7.2925 0.0000 0.0000
0.0000 4.1059 0.0000
-2.2874 0.0000 6.9465
Pm Zn Se Cl
4 1 2 1
direct
0.2370 0.0000 0.2436
0.2468 0.5000 0.7489
0.7532 0.5000 0.2511
0.7630 0.0000 0.7564
0.0000 0.0000 0.5000
0.0000 0.5000 0.0000
0.5000 0.0000 0.0000
0.5000 0.5000 0.5000
```

=====

Pm3SiCl3 after structural relaxation, computed with PBE.

Computed properties:
Magnetization, μB per cell: 0.00
Energy relative to the lowest polymorph listed for this composition, meV per atom: 56.8
ΔE_f (raw), meV per atom: -1569

```
Pm3SiCl3
1.0
5.7708 0.0000 0.0000
0.0000 5.7708 0.0000
0.0000 0.0000 5.7708
Pm Si Cl
3 1 3
direct
0.0000 0.0000 0.5000
0.0000 0.5000 0.0000
0.5000 0.0000 0.0000
0.0000 0.0000 0.0000
0.0000 0.5000 0.5000
0.5000 0.0000 0.5000
0.5000 0.5000 0.0000
```

=====

Pm2SiCl after structural relaxation, computed with PBE.

Computed properties:
Magnetization, μB per cell: 0.00
Energy relative to the lowest polymorph listed for this composition, meV per atom: 0.0
ΔE_f (raw), meV per atom: -1180

```
Pm2SiCl
1.0
2.1063 1.2161 6.9161
-2.1063 1.2161 6.9161
0.0000 -2.4322 6.9161
Pm Si Cl
2 1 1
direct
0.2412 0.2412 0.2412
0.7588 0.7588 0.7588
0.5000 0.5000 0.5000
0.0000 0.0000 0.0000
```

=====

Pm2SiCl after structural relaxation, computed with PBE.

Computed properties:
Magnetization, μB per cell: 0.00
Energy relative to the lowest polymorph listed for this composition, meV per atom: 336.8
ΔE_f (raw), meV per atom: -844

```
Pm2SiCl
1.0
3.4935 0.0000 0.0000
0.0000 5.3578 0.0000
0.0000 0.0000 10.9984
Pm Si Cl
4 2 2
direct
0.2500 0.2500 0.1085
0.2500 0.2500 0.6333
0.7500 0.7500 0.3667
0.7500 0.7500 0.8915
0.2500 0.2500 0.3686
0.7500 0.7500 0.6314
0.2500 0.7500 0.1146
0.7500 0.2500 0.8854
```

=====

Pm3Si2Cl3 after structural relaxation, computed with PBE.

Computed properties:
Magnetization, μB per cell: 0.00
ΔE_f (raw), meV per atom: -1389

```
Pm3Si2Cl3
1.0
8.8142 0.0000 0.0000
-4.4071 7.6333 0.0000
0.0000 0.0000 5.5340
Pm Si Cl
6 4 6
direct
0.0000 0.3695 0.2500
0.0000 0.6305 0.7500
0.3695 0.0000 0.2500
0.3695 0.3695 0.7500
0.6305 0.0000 0.7500
0.6305 0.6305 0.2500
0.3333 0.6667 0.0000
0.3333 0.6667 0.5000
0.6667 0.3333 0.0000
0.6667 0.3333 0.5000
0.0000 0.2394 0.7500
0.0000 0.7606 0.2500
0.2394 0.0000 0.7500
0.2394 0.2394 0.2500
0.7606 0.0000 0.2500
0.7606 0.7606 0.7500
```

=====

Pm2SiCl3 after structural relaxation, computed with PBE.

Computed properties:
Magnetization, μB per cell: 0.00
ΔE_f (raw), meV per atom: -1609

```
Pm2SiCl3
1.0
9.3249 -2.0427 0.0000
9.3249 2.0427 0.0000
-8.0507 0.0000 9.8508
Pm Si Cl
4 2 6
direct
0.1176 0.1176 0.4434
0.3723 0.3723 0.1762
0.6277 0.6277 0.8238
0.8824 0.8824 0.5566
0.0589 0.0589 0.6171
0.9411 0.9411 0.3829
0.1771 0.1771 0.0212
0.2567 0.2567 0.3910
0.4519 0.4519 0.7579
0.5481 0.5481 0.2421
0.7433 0.7433 0.6090
0.8229 0.8229 0.9788
```

=====

In 2024, AFMO supported the very successful temporary exhibition Paris 1874. Inventing Impressionism, celebrating the anniversary of the first impressionist exhibition which drew over 722,000 visitors over four months.

Contemporary Art Exhibitions

AFMO provides significant funding to bring contemporary art programs and projects to both the Orsay and the Orangerie.

World-class artists are invited to share their vision of either museum through exhibitions, site-specific installations, and educational programs. Guest artists include Julian Schnabel, David Hockney, Mickalene Thomas, Peter Doig, Nathanaëlle Herbelin, Amélie Bertrand and Elmgreen & Dragset.

In the spring of 2025, the Orsay will honor the work of Lucas Arruda while the Orangerie will present the exhibition David Claerbout. Spring, slowly.

English Language Educational Resources and Content

AFMO encourages the museums by supporting English language educational initiatives, including wall texts, museum tours, printed materials, and digital resources. In 2023, AFMO provided critical funding for the English translation and publication of the Pastels: From Millet to Redon album. This album focuses on the Orsay’s unique collection of pastel works and is published in conjunction with the eponymous exhibition.

In 2024, AFMO supported Holidays at the Orsay, a bilingual program which inculcates children’s appetites for art through a range of creative and entertaining experiences inspired by the museum and its collections.

Capital Improvements

AFMO supports gallery maintenance and building renovations to enable state-of-the-art settings and enhance visitor experience, including two large screens in the lower name, for all visitors, and the 500,000 Americans who visit the museums every year. AFMO also supports the documentation library.


AFMO supports the acquisition of works of art, focusing on those with either an American provenance or a link with American history in coherence with the periods covered by the two Musées. The acquisitions are jointly approved by the two Musées, their curators and the AFMO Board.

For more information on all our past and present grants, check the Grants to Museums section.


American Friends Musées d’Orsay et de l’Orangerie thank our members and donors for their generous and enthusiastic support of the Musées d’Orsay et de l’Orangerie’s programs and operations.

With special thanks to the following for their continued support:

  • GRoW@Annenberg, Regina and Gregory Annenberg Weingarten

  • The Marlene and Spencer Hays Foundation

Frédéric Bazille, Réunion de famille, entre 1867 et 1868. Achat avec la participation de Marc Bazille, frère de Frédéric Bazille, 1905, © Musée d’Orsay, Dist. RMN-Grand Palais, Patrice Schmidt